• Contents:
-- begin --
Record 1
DFT (ωB97M-V with the def2-TZVPD basis set) results for a 2-piece molecular cluster, C4H12 overall in a non-equilibrium geometry.

Summary:
Orbital gap (eV): 12.59
HOMO energy (Eh): -0.4205
ΔE to the lowest compared entry with this formula, charge and spin (kJ/mol): 127.9
LUMO energy (eV): 1.1
SMILES: CC.CC
Electronic energy (eV): -4341.20297

Positions of all 16 atoms, in Å:
C: -1.43766 1.17694 0.97841
C: -1.70782 -0.37180 1.44102
H: -0.91122 1.75931 1.65112
H: -0.82557 1.16155 0.11274
H: -2.36480 1.59206 0.81655
H: -0.79291 -0.93958 1.51837
H: -2.25200 -0.97249 0.69730
H: -2.00260 -0.42181 2.56998
C: 1.40504 0.37553 -1.40543
C: 1.69227 -1.11108 -1.01764
H: 0.38433 0.28160 -1.87524
H: 1.30573 1.22786 -0.62555
H: 2.11398 0.85109 -2.18379
H: 2.11289 -1.12460 -0.03612
H: 2.49513 -1.70669 -1.65545
H: 0.78520 -1.77788 -0.98628

---

Record 2
DFT (ωB97M-V with the def2-TZVPD basis set) results for a 2-piece molecular cluster, C4H12 overall in a non-equilibrium geometry.

Summary:
Orbital gap (eV): 12.45
HOMO energy (Eh): -0.4170
ΔE to the lowest compared entry with this formula, charge and spin (kJ/mol): 46.7
LUMO energy (eV): 1.1
SMILES: CC.CC
Electronic energy (eV): -4342.04388

Positions of all 16 atoms, in Å:
C: -0.84975 2.45634 -0.57989
C: 0.48284 2.35821 0.19515
H: -0.67007 2.77784 -1.59650
H: -1.29239 1.46484 -0.50802
H: -1.53295 3.08529 0.00340
H: 1.23835 1.77482 -0.32621
H: 0.22532 1.74491 1.05582
H: 0.80905 3.29846 0.62217
C: -0.55514 -2.18699 0.09279
C: 0.92270 -2.55582 0.17925
H: -0.72784 -1.28763 -0.51102
H: -1.04091 -2.88026 -0.59568
H: -0.99091 -2.12264 1.07616
H: 1.53928 -1.72525 0.51855
H: 1.07131 -3.18746 1.06874
H: 1.37111 -3.01467 -0.69470

---

Record 3
DFT (ωB97M-V with the def2-TZVPD basis set) results for a 2-piece molecular cluster, C4H12 overall in a non-equilibrium geometry.

Summary:
Orbital gap (eV): 12.08
HOMO energy (Eh): -0.4026
ΔE to the lowest compared entry with this formula, charge and spin (kJ/mol): 170.8
LUMO energy (eV): 1.1
SMILES: CC.CC
Electronic energy (eV): -4340.75852

Positions of all 16 atoms, in Å:
C: 1.70231 0.02688 1.75344
C: 1.60490 0.55185 0.32728
H: 2.25848 -0.97916 2.01314
H: 2.26230 0.67430 2.39165
H: 0.78251 0.19105 2.13570
H: 2.48881 0.25299 -0.29472
H: 1.59351 1.65089 0.42588
H: 0.75682 0.26152 -0.26473
C: -1.83761 -0.56542 -1.67565
C: -1.51886 0.03906 -0.37797
H: -2.78953 -0.66581 -2.21308
H: -1.29634 -0.20514 -2.51805
H: -1.71915 -1.66119 -1.67303
H: -2.33490 0.70553 -0.01152
H: -1.33499 -0.86658 0.34671
H: -0.61826 0.58922 -0.36504

---

Record 4
DFT (ωB97M-V with the def2-TZVPD basis set) results for a 2-piece molecular cluster, C4H12 overall in a non-equilibrium geometry.

Summary:
Orbital gap (eV): 12.39
HOMO energy (Eh): -0.4141
ΔE to the lowest compared entry with this formula, charge and spin (kJ/mol): 71.8
LUMO energy (eV): 1.1
SMILES: CC.CC
Electronic energy (eV): -4341.78388

Positions of all 16 atoms, in Å:
C: 1.03286 -1.62075 1.12816
C: 1.45627 -0.57234 2.09151
H: 1.92666 -1.98989 0.59585
H: 0.69574 -2.60162 1.46930
H: 0.25830 -1.27132 0.44367
H: 2.19554 -0.92676 2.83331
H: 1.98488 0.28055 1.65890
H: 0.71878 -0.29656 2.87015
C: -1.79705 1.68423 -1.61248
C: -0.82103 0.55642 -1.71515
H: -2.11041 2.02311 -0.60782
H: -1.44884 2.56659 -2.14580
H: -2.81657 1.38200 -1.92242
H: -0.87270 -0.26344 -0.99050
H: 0.21452 0.87340 -1.38557
H: -0.61694 0.17637 -2.71111

---

Record 5
DFT (ωB97M-V with the def2-TZVPD basis set) results for a 2-piece molecular cluster, C4H12 overall in a non-equilibrium geometry.

Summary:
Orbital gap (eV): 12.57
HOMO energy (Eh): -0.4195
ΔE to the lowest compared entry with this formula, charge and spin (kJ/mol): 43.2
LUMO energy (eV): 1.2
SMILES: CC.CC
Electronic energy (eV): -4342.08015

Positions of all 16 atoms, in Å:
C: -1.84863 0.51973 1.38281
C: -0.68025 1.23386 2.03268
H: -2.80256 0.57961 1.90816
H: -2.17906 0.99752 0.44689
H: -1.63856 -0.49529 1.04702
H: -0.61885 2.25402 1.64499
H: -0.86236 1.37027 3.10022
-- stop --
• Exercise:
Give back all of the entries further up with every line break kept.
• Done:
Record 1
DFT (ωB97M-V with the def2-TZVPD basis set) results for a 2-piece molecular cluster, C4H12 overall in a non-equilibrium geometry.

Summary:
Orbital gap (eV): 12.59
HOMO energy (Eh): -0.4205
ΔE to the lowest compared entry with this formula, charge and spin (kJ/mol): 127.9
LUMO energy (eV): 1.1
SMILES: CC.CC
Electronic energy (eV): -4341.20297

Positions of all 16 atoms, in Å:
C: -1.43766 1.17694 0.97841
C: -1.70782 -0.37180 1.44102
H: -0.91122 1.75931 1.65112
H: -0.82557 1.16155 0.11274
H: -2.36480 1.59206 0.81655
H: -0.79291 -0.93958 1.51837
H: -2.25200 -0.97249 0.69730
H: -2.00260 -0.42181 2.56998
C: 1.40504 0.37553 -1.40543
C: 1.69227 -1.11108 -1.01764
H: 0.38433 0.28160 -1.87524
H: 1.30573 1.22786 -0.62555
H: 2.11398 0.85109 -2.18379
H: 2.11289 -1.12460 -0.03612
H: 2.49513 -1.70669 -1.65545
H: 0.78520 -1.77788 -0.98628

---

Record 2
DFT (ωB97M-V with the def2-TZVPD basis set) results for a 2-piece molecular cluster, C4H12 overall in a non-equilibrium geometry.

Summary:
Orbital gap (eV): 12.45
HOMO energy (Eh): -0.4170
ΔE to the lowest compared entry with this formula, charge and spin (kJ/mol): 46.7
LUMO energy (eV): 1.1
SMILES: CC.CC
Electronic energy (eV): -4342.04388

Positions of all 16 atoms, in Å:
C: -0.84975 2.45634 -0.57989
C: 0.48284 2.35821 0.19515
H: -0.67007 2.77784 -1.59650
H: -1.29239 1.46484 -0.50802
H: -1.53295 3.08529 0.00340
H: 1.23835 1.77482 -0.32621
H: 0.22532 1.74491 1.05582
H: 0.80905 3.29846 0.62217
C: -0.55514 -2.18699 0.09279
C: 0.92270 -2.55582 0.17925
H: -0.72784 -1.28763 -0.51102
H: -1.04091 -2.88026 -0.59568
H: -0.99091 -2.12264 1.07616
H: 1.53928 -1.72525 0.51855
H: 1.07131 -3.18746 1.06874
H: 1.37111 -3.01467 -0.69470

---

Record 3
DFT (ωB97M-V with the def2-TZVPD basis set) results for a 2-piece molecular cluster, C4H12 overall in a non-equilibrium geometry.

Summary:
Orbital gap (eV): 12.08
HOMO energy (Eh): -0.4026
ΔE to the lowest compared entry with this formula, charge and spin (kJ/mol): 170.8
LUMO energy (eV): 1.1
SMILES: CC.CC
Electronic energy (eV): -4340.75852

Positions of all 16 atoms, in Å:
C: 1.70231 0.02688 1.75344
C: 1.60490 0.55185 0.32728
H: 2.25848 -0.97916 2.01314
H: 2.26230 0.67430 2.39165
H: 0.78251 0.19105 2.13570
H: 2.48881 0.25299 -0.29472
H: 1.59351 1.65089 0.42588
H: 0.75682 0.26152 -0.26473
C: -1.83761 -0.56542 -1.67565
C: -1.51886 0.03906 -0.37797
H: -2.78953 -0.66581 -2.21308
H: -1.29634 -0.20514 -2.51805
H: -1.71915 -1.66119 -1.67303
H: -2.33490 0.70553 -0.01152
H: -1.33499 -0.86658 0.34671
H: -0.61826 0.58922 -0.36504

---

Record 4
DFT (ωB97M-V with the def2-TZVPD basis set) results for a 2-piece molecular cluster, C4H12 overall in a non-equilibrium geometry.

Summary:
Orbital gap (eV): 12.39
HOMO energy (Eh): -0.4141
ΔE to the lowest compared entry with this formula, charge and spin (kJ/mol): 71.8
LUMO energy (eV): 1.1
SMILES: CC.CC
Electronic energy (eV): -4341.78388

Positions of all 16 atoms, in Å:
C: 1.03286 -1.62075 1.12816
C: 1.45627 -0.57234 2.09151
H: 1.92666 -1.98989 0.59585
H: 0.69574 -2.60162 1.46930
H: 0.25830 -1.27132 0.44367
H: 2.19554 -0.92676 2.83331
H: 1.98488 0.28055 1.65890
H: 0.71878 -0.29656 2.87015
C: -1.79705 1.68423 -1.61248
C: -0.82103 0.55642 -1.71515
H: -2.11041 2.02311 -0.60782
H: -1.44884 2.56659 -2.14580
H: -2.81657 1.38200 -1.92242
H: -0.87270 -0.26344 -0.99050
H: 0.21452 0.87340 -1.38557
H: -0.61694 0.17637 -2.71111

---

Record 5
DFT (ωB97M-V with the def2-TZVPD basis set) results for a 2-piece molecular cluster, C4H12 overall in a non-equilibrium geometry.

Summary:
Orbital gap (eV): 12.57
HOMO energy (Eh): -0.4195
ΔE to the lowest compared entry with this formula, charge and spin (kJ/mol): 43.2
LUMO energy (eV): 1.2
SMILES: CC.CC
Electronic energy (eV): -4342.08015

Positions of all 16 atoms, in Å:
C: -1.84863 0.51973 1.38281
C: -0.68025 1.23386 2.03268
H: -2.80256 0.57961 1.90816
H: -2.17906 0.99752 0.44689
H: -1.63856 -0.49529 1.04702
H: -0.61885 2.25402 1.64499
H: -0.86236 1.37027 3.10022